use to price their products and services. in a market in which buyers and sellers are so
numerous and well informed that all elements
The methods of price determination in
of monopoly are absent and the market price
economics include the laws of supply and
of a commodity is beyond the control of
demand, and the effects of price elasticity.
individual buyers and sellers.
The concept of market structure is central to
Pricing Decisions and Determinants
both economics and marketing. Both
of Price under Perfect Competition -
disciplines are concerned with strategic
Market price is determined by the
decision making.
equilibrium between demand and
Market structures are basically the number of supply in a market period or very
firms in the market that produce identical short run.
goods and services. Market structure
Monopoly is said to exist when one firm is
influences the behavior of firms to a great
the sole producer or seller of a product which
extent. The market structure affects the
has no close substitutes.
Materials data, as found in the file:
Li5FeS4 (PBE-GGA, relaxed); polymorph energy (0 for the lowest one) = 0.003 eV/atom; space-group type = Pbca; ΔH_f (0 K) = -1264.0 meV/atom; final energy = -4.5189 eV per atom
1.0
-3.722 10.484 2.740
-5.090 -4.240 9.310
9.302 1.763 5.889
Li S Fe
40 32 8
Direct
0.384 0.615 0.849
0.114 0.617 0.143
0.384 0.885 0.349
0.116 0.385 0.349
0.116 0.115 0.849
0.114 0.883 0.643
0.886 0.117 0.357
0.884 0.885 0.151
0.614 0.617 0.357
0.150 0.376 0.889
0.359 0.379 0.104
0.614 0.883 0.857
0.650 0.376 0.611
0.884 0.615 0.651
0.359 0.121 0.604
0.850 0.624 0.111
0.641 0.621 0.896
0.141 0.879 0.104
0.386 0.383 0.643
0.141 0.621 0.604
0.350 0.876 0.889
0.386 0.117 0.143
0.882 0.146 0.628
0.350 0.624 0.389
0.382 0.146 0.872
0.616 0.385 0.151
0.150 0.124 0.389
0.382 0.354 0.372
0.618 0.646 0.628
0.859 0.121 0.896
0.618 0.854 0.128
0.882 0.354 0.128
0.641 0.879 0.396
0.118 0.854 0.372
0.616 0.115 0.651
0.650 0.124 0.111
0.886 0.383 0.857
0.859 0.379 0.396
0.850 0.876 0.611
0.118 0.646 0.872
0.491 0.746 0.992
0.531 0.010 0.257
0.256 0.750 0.237
0.509 0.254 0.008
0.756 0.750 0.763
0.009 0.254 0.492
0.531 0.490 0.757
0.009 0.246 0.992
0.469 0.990 0.743
0.469 0.510 0.243
0.753 0.970 0.000
0.247 0.030 0.000
0.253 0.970 0.500
0.969 0.990 0.757
0.969 0.510 0.257
0.991 0.746 0.508
0.744 0.250 0.263
0.247 0.470 0.500
0.244 0.250 0.737
0.031 0.490 0.743
0.031 0.010 0.243
0.244 0.250 0.237
0.753 0.530 0.500
0.744 0.250 0.763
0.991 0.754 0.008
0.509 0.246 0.508
0.756 0.750 0.263
0.491 0.754 0.492
0.256 0.750 0.737
0.747 0.030 0.500
0.747 0.470 0.000
0.253 0.530 0.000
0.875 0.861 0.882
0.375 0.861 0.618
0.875 0.639 0.382
0.625 0.361 0.882
0.125 0.361 0.618
0.125 0.139 0.118
0.375 0.639 0.118
0.625 0.139 0.382

Li8FeS6 (PBE-GGA, relaxed); space-group type = P6_3cm; ΔH_f (0 K) = -1268.2 meV/atom; final energy = -4.3043 eV per atom
1.0
3.406 -5.899 0.000
3.406 5.899 0.000
0.000 0.000 13.462
Li S Fe
16 12 2
Direct
0.687 0.687 0.267
0.313 0.313 0.767
0.371 0.000 0.630
0.000 0.313 0.267
0.371 0.371 0.130
0.000 0.629 0.130
0.667 0.333 0.901
0.313 0.000 0.267
0.000 0.371 0.630
0.687 0.000 0.767
0.000 0.687 0.767
0.667 0.333 0.401
0.629 0.629 0.630
0.333 0.667 0.401
0.333 0.667 0.901
0.629 0.000 0.130
0.333 0.667 0.717
0.000 0.000 0.170
0.695 0.000 0.951
0.667 0.333 0.717
0.000 0.305 0.451
0.667 0.333 0.217
0.695 0.695 0.451
0.000 0.000 0.670
0.333 0.667 0.217
0.305 0.305 0.951
0.000 0.695 0.951
0.305 0.000 0.451
0.000 0.000 0.000
0.000 0.000 0.500

LiFeS2 (PBE-GGA, relaxed); space-group type = P2_1/c; ΔH_f (0 K) = -872.8 meV/atom; final energy = -5.2843 eV per atom
1.0
6.160 0.000 0.000
0.000 6.295 0.000
0.000 2.706 6.845
S Li Fe
8 4 4
Direct
0.763 0.998 0.338
0.737 0.498 0.338
0.237 0.002 0.662
0.193 0.800 0.106
0.307 0.300 0.106
0.263 0.502 0.662
0.807 0.200 0.894
0.693 0.700 0.894
0.898 0.662 0.618
0.398 0.838 0.382
0.102 0.338 0.382
0.602 0.162 0.618
0.164 0.157 0.889
0.336 0.657 0.889
0.664 0.343 0.111
0.836 0.843 0.111
supply of different commodities in the
market. - single producer or seller of a product.
- perfect competition or monopolistic
Monopoly market has the biggest level of
competition will prevail depending
barriers to entry while the perfectly
upon whether the product is
competitive market has zero percent level of
homogeneous or differentiated.
barriers to entry. Firms are more efficient in
Profit maximizer. A monopoly
a competitive market than in a monopoly
• What comes next are materials data, not part of the piece:
(1)
# RbPO2F2 r²SCAN relaxed
data_RbPO2F2
_chemical_formula_sum 'Rb4 P4 O8 F8'
_symmetry_space_group_name_H-M 'P n m a'
_symmetry_Int_Tables_number 62
_cell_length_a 7.884
_cell_length_b 6.569
_cell_length_c 7.650
_cell_angle_alpha 90.00
_cell_angle_beta 90.00
_cell_angle_gamma 90.00
loop_
_symmetry_equiv_pos_as_xyz
'x,y,z'
'-x,-y,-z'
'-x+1/2,-y,z+1/2'
'x+1/2,y,-z+1/2'
'x+1/2,-y+1/2,-z+1/2'
'-x+1/2,y+1/2,z+1/2'
'-x,y+1/2,-z'
'x,-y+1/2,z'
loop_
_atom_site_label
_atom_site_fract_x
_atom_site_fract_y
_atom_site_fract_z
Rb1 0.135 0.250 0.144
P1 0.116 0.250 0.684
O1 0.117 0.054 0.777
F1 0.032 0.750 0.455
F2 0.234 0.750 0.047
# - E_form (eV per formula unit) = -16.2
# - mass density (kg/m3) = 3126

***

(2)
# PtO2F6 r²SCAN relaxed
data_PtO2F6
_chemical_formula_sum 'Pt8 O16 F48'
_symmetry_space_group_name_H-M 'I a -3'
_symmetry_Int_Tables_number 206
_symmetry_space_group_name_Hall '-I 2b 2c 3'
_cell_length_a 10.089
_cell_length_b 10.089
_cell_length_c 10.089
_cell_angle_alpha 90.00
_cell_angle_beta 90.00
_cell_angle_gamma 90.00
loop_
_atom_site_label
_atom_site_fract_x
_atom_site_fract_y
_atom_site_fract_z
Pt1 0.000 0.000 0.000
O1 0.216 0.216 0.216
F1 0.058 0.096 0.649
# - E_form (eV per formula unit) = -8.3
# - mass density (kg/m3) = 4412

***

(3)
# SO2F2 r²SCAN relaxed
data_SO2F2
_chemical_formula_sum 'S4 O8 F8'
_symmetry_space_group_name_H-M 'P 41 21 2'
_symmetry_Int_Tables_number 92
_cell_length_a 5.117
_cell_length_b 5.117
_cell_length_c 11.304
_cell_angle_alpha 90.00
_cell_angle_beta 90.00
_cell_angle_gamma 90.00
loop_
_symmetry_equiv_pos_as_xyz
'x,y,z'
'-y+1/2,x+1/2,z+1/4'
'-x,-y,z+1/2'
'y+1/2,-x+1/2,z+3/4'
'x+1/2,-y+1/2,-z+3/4'
'-y,-x,-z+1/2'
'-x+1/2,y+1/2,-z+1/4'
'y,x,-z'
loop_
_atom_site_label
_atom_site_fract_x
_atom_site_fract_y
_atom_site_fract_z
S1 0.080 0.080 0.000
O1 0.010 0.330 0.961
F1 0.007 0.118 0.405
# - E_form (eV per formula unit) = -8.0
# - mass density (kg/m3) = 2290

***

(4)
# S2O5F2 r²SCAN relaxed
data_S2O5F2
_chemical_formula_sum 'S8 O20 F8'
_symmetry_space_group_name_H-M 'P -4 21 c'
_symmetry_Int_Tables_number 114
_cell_length_a 7.494
_cell_length_b 7.494
_cell_length_c 9.249
_cell_angle_alpha 90.00
_cell_angle_beta 90.00
_cell_angle_gamma 90.00
loop_
_symmetry_equiv_pos_as_xyz
'x,y,z'
'y,-x,-z'
'-x,-y,z'
'-y,x,-z'
'x+1/2,-y+1/2,-z+1/2'
'y+1/2,x+1/2,z+1/2'
'-x+1/2,y+1/2,-z+1/2'
'-y+1/2,-x+1/2,z+1/2'
loop_
_atom_site_label
_atom_site_fract_x
_atom_site_fract_y
_atom_site_fract_z
S1 0.078 0.326 0.364
O1 0.000 0.500 0.282
O2 0.025 0.709 0.488
O3 0.114 0.205 0.253
F1 0.093 0.242 0.915
# - E_form (eV per formula unit) = -12.6
# - mass density (kg/m3) = 2329

* * * * *

Below is an optimized crystal structure of NiS2O12, with properties calculated at the PBE+U level.

## Properties
Energy of formation from the pure elements (eV/atom): -0.118
Energy relative to the lowest polymorph listed for this composition (eV/atom): 0.343
maximizes profits.
Price maker. The monopoly decides the
Price determination is one of the most crucial price of the good or product being sold.
aspects in economics. Business managers are High barriers to entry. Other sellers are
expected to make perfect decisions based on unable to enter the market of the
their knowledge and judgment. monopoly.
Types of Market Structures Single seller. In a monopoly one seller
Data records from another source follow.
<<<
(1)
Crystalline SrAs2O8 at its relaxed geometry. Source: the Materials Project, functional PBE-GGA. Values from VASP.

Properties
Size of the total moment = 0.00 μB per cell
V = 327.9 Å³ per cell
SG = P-1
Formation enthalpy at 0 K = -13.668 eV per formula unit

```
&SYSTEM
  ibrav = 0, nat = 22, ntyp = 3
/
ATOMIC_SPECIES
O 16.00 O.upf
Sr 87.62 Sr.upf
As 74.92 As.upf
CELL_PARAMETERS angstrom
-2.160 4.976 3.605
-5.863 -4.782 0.978
6.847 -2.965 3.040
ATOMIC_POSITIONS crystal
O 0.519 0.591 0.985
O 0.823 0.783 0.893
O 0.424 0.482 0.551
O 0.177 0.217 0.107
O 0.750 0.988 0.468
O 0.247 0.635 0.202
O 0.904 0.981 0.650
O 0.919 0.611 0.374
O 0.753 0.365 0.798
O 0.303 0.880 0.793
O 0.096 0.019 0.350
O 0.576 0.518 0.449
O 0.250 0.012 0.532
O 0.081 0.389 0.626
O 0.481 0.409 0.015
O 0.697 0.120 0.207
Sr 0.272 0.888 0.093
Sr 0.728 0.112 0.907
As 0.917 0.173 0.428
As 0.083 0.827 0.572
As 0.647 0.550 0.805
As 0.353 0.450 0.195
```


(2)
Crystalline Ca2ThSi8O20 at its relaxed geometry. Source: the Materials Project, functional PBE-GGA. Values from VASP.

Properties
Size of the total moment = 0.00 μB per cell
V = 431.3 Å³ per cell
SG = I422
Formation enthalpy at 0 K = -106.382 eV per formula unit

```
&SYSTEM
  ibrav = 0, nat = 31, ntyp = 4
/
ATOMIC_SPECIES
O 16.00 O.upf
Si 28.09 Si.upf
Th 232.04 Th.upf
Ca 40.08 Ca.upf
CELL_PARAMETERS angstrom
-3.773 3.773 7.575
3.773 -3.773 7.575
3.773 3.773 -7.575
ATOMIC_POSITIONS crystal
O 0.974 0.825 0.638
O 0.456 0.544 0.500
O 0.044 0.956 0.500
O 0.664 0.813 0.638
O 0.873 0.579 0.199
O 0.544 0.044 0.088
O 0.956 0.456 0.912
O 0.175 0.026 0.362
O 0.187 0.336 0.362
O 0.380 0.674 0.801
O 0.825 0.187 0.851
O 0.026 0.664 0.851
O 0.421 0.127 0.801
O 0.326 0.620 0.199
O 0.620 0.421 0.294
O 0.813 0.175 0.149
O 0.336 0.974 0.149
O 0.579 0.380 0.706
O 0.674 0.873 0.294
O 0.127 0.326 0.706
Si 0.894 0.816 0.416
Si 0.600 0.184 0.078
Si 0.479 0.894 0.078
Si 0.521 0.600 0.416
Si 0.400 0.479 0.584
Si 0.816 0.400 0.922
Si 0.106 0.521 0.922
Si 0.184 0.106 0.584
Th 0.000 0.000 0.000
Ca 0.500 0.000 0.500
Ca 0.000 0.500 0.500
```


(3)
Crystalline Hf6Be15Co8 at its relaxed geometry. Source: the Materials Project, functional PBE-GGA. Values from VASP.

Properties
V = 326.5 Å³ per cell
SG = Fm-3m
Formation enthalpy at 0 K = -9.788 eV per formula unit

```
&SYSTEM
  ibrav = 0, nat = 29, ntyp = 3
/
ATOMIC_SPECIES
Be 9.01 Be.upf
Co 58.93 Co.upf
Hf 178.49 Hf.upf
CELL_PARAMETERS angstrom
1.739 3.493 6.672
-1.894 7.414 1.088
-5.622 1.864 4.966
ATOMIC_POSITIONS crystal
Be 0.000 0.000 0.000
Be 0.500 0.000 0.000
Be 0.967 0.678 0.678
Be 0.500 0.500 0.000
Be 0.000 0.500 0.000
Be 0.000 0.000 0.500
Be 0.322 0.322 0.322
Be 0.678 0.678 0.967
Be 0.678 0.967 0.678
Be 0.322 0.322 0.033
Be 0.500 0.000 0.500
Be 0.678 0.678 0.678
Be 0.322 0.033 0.322
Be 0.033 0.322 0.322
Be 0.000 0.500 0.500
Co 0.875 0.374 0.875
Co 0.125 0.125 0.125
Co 0.125 0.125 0.626
Co 0.875 0.875 0.875
Co 0.875 0.875 0.374
Co 0.626 0.125 0.125
Co 0.125 0.626 0.125
Co 0.374 0.875 0.875
>>>
produces all of the output for a good or
Price discrimination. In a monopoly the - It can be used to defend an existing
firm can change the price and quantity market from new entrants, to increase
of the good or service. market share within a market or to
enter a new market.
Monopolistic competition is a form of
market structure in which a large number of Pricing a New Product
independent firms are supplying products
Skimming Price - short period device for
that are slightly differentiated from the
point of view of buyers
Penetration Price -referred as stay out price
- Each firm is therefore the sole
policy since it prevents competition to a great
producer of a particular brand or
“product”. It is monopolist as far as a
particular brand is concerned. - Lowest price for the new product is
Price effect is the change in demand in Market Entry and Exit - A competitive
accordance to the change in price, other industry allows firms to freely enter and exit
things remaining constant. the market and has few barriers to entry.
1. Artificial Time Constraints - Stores place is considered right, but what provides the
these restrictions on their sales because they highest level of benefit. Thus, the reference is
act as catalysts for consumers to spend. to morality. This can apply to activities
within the financial industry, such as with the
2. Charm Pricing - the official (read fancy)
contract between a
name for all those 9’s that you see at the end
of prices in your local stores. A. The Problem of Adverse Selection
3. Innumeracy - where consumers are unable Adverse selection is a problem that arises
Other ways that innumeracy appears in - It refers to a scenario where either the
pricing include double discounting, coupon buyer or the seller has information
design, and percentage pumping. about an aspect of product quality that
4. Price Appearance- The design of your the other party does not have.
prices can also have a tremendous impact on - occurs when one party in a transaction
how customers perceive the value of your possesses more accurate information
1. Build in incentives.
2. Penalise bad behaviour.
3. Split up banks
4. Performance related pay.